Given:
=====
#i
Density functional theory data (ωB97M-V/def2-TZVPD) for a structure of composition C4H3N.

Results
HOMO-LUMO gap = 9.03 eV
molecular weight = 65.07 g mol⁻¹
spin multiplicity = 1
LUMO level = 0.33 eV

Last column: Mulliken charge in e.
Positions of all 8 atoms, in Å:
C -0.62901 -0.54066 -0.31787  -0.91
H -0.77519 -1.61142 -0.36397  0.37
C 1.67945 0.34531 0.42306  -0.37
N -2.59425 1.09448 -0.62141  -0.42
C 0.62307 -0.05199 -0.14981  0.24
C -1.71362 0.35256 -0.47357  0.43
H 0.68846 -0.27922 1.10392  0.31
H 2.72108 0.69093 0.39966  0.35


#ii
Density functional theory data (ωB97M-V/def2-TZVPD) for an isolated molecule of C4H3N.

Results
HOMO-LUMO gap = 9.36 eV
molecular weight = 65.07 g mol⁻¹
spin multiplicity = 1
LUMO level = -1.42 eV

Last column: Mulliken charge in e.
Positions of all 8 atoms, in Å:
C -0.71601 -1.19536 0.76803  0.13
C 1.43840 -1.20718 0.09407  -0.26
H -0.65298 0.90703 -1.19580  0.29
H 1.07217 1.24688 -0.95267  0.33
C 0.34115 -0.47717 0.11015  0.55
H -0.09145 1.61515 0.33678  0.28
N -1.54799 -1.80046 1.30115  -0.34
C 0.15671 0.91111 -0.46170  -0.98


Verdict on stability: #i comes out at the bottom.


#i
Density functional theory data (ωB97M-V/def2-TZVPD) for a cluster of 2 separate species, C4H3N in total.

Results
HOMO-LUMO gap (spin up / spin down) = 7.67 / 8.23 eV
molecular weight = 65.07 g mol⁻¹
spin multiplicity = 1
LUMO level (spin up / spin down) = -2.53 / -2.41 eV

Last column: Mulliken charge in e.
Positions of all 8 atoms, in Å:
C 0.13471 0.13249 0.08797  -0.05
H -0.52577 -2.12071 0.32696  0.24
H -1.13086 0.20727 2.05465  0.33
H -1.34604 -1.24401 -1.03802  0.24
C -0.73152 -1.15489 -0.13837  -0.43
C 1.86561 1.63454 -0.94870  0.00
C -0.69503 0.02998 1.02889  -0.05
N 2.42891 2.51533 -1.37337  -0.29


#ii
Density functional theory data (ωB97M-V/def2-TZVPD) for an isolated molecule of C4H3N.

Results
HOMO-LUMO gap = 9.58 eV
molecular weight = 65.07 g mol⁻¹
structure (SMILES) = C=C=CC#N
spin multiplicity = 1
LUMO level = -0.32 eV

Last column: Mulliken charge in e.
Positions of all 8 atoms, in Å:
C 0.49051 -0.07892 0.14182  0.14
N -3.11149 0.46310 0.03839  -0.36
C 1.74882 0.53688 0.00650  -0.56
C -0.86957 -0.71239 0.05150  -0.53
H 2.45220 0.60579 0.84680  0.24
H -0.80094 -1.70183 -0.16540  0.38
C -2.04788 0.03466 0.00521  0.42
H 2.13836 0.85270 -0.92481  0.27


Verdict on stability: #i comes out at the bottom.


#i
Density functional theory data (ωB97M-V/def2-TZVPD) for the ion C5H10N with charge +1.

Results
net charge = +1
HOMO-LUMO gap = 10.33 eV
molecular weight = 84.14 g mol⁻¹
structure (SMILES) = C[C@H]1[C@@H]2C[C@]12[NH3+]
spin multiplicity = 1
LUMO level = -3.79 eV

Last column: Mulliken charge in e.
Positions of all 16 atoms, in Å:
H -0.77297 -0.34204 -1.90361  0.27
H 2.01777 -0.91174 -0.87424  0.29
C -0.34568 -1.15622 0.26873  -0.38
H 1.51440 0.85562 -1.46540  0.31
N 0.21745 1.30968 1.21059  -0.11
H 1.29919 -0.55482 -2.56827  0.36
H -0.01820 2.29895 1.11043  0.35
H -2.40318 -0.63761 -0.02170  0.25
H -2.10969 -0.71318 1.68150  0.31
C 1.35755 -0.19971 -1.52840  -1.19
H 1.15125 1.49707 1.01663  0.34
H 0.12388 1.07901 2.15107  0.38
C -0.03358 -0.30343 -0.99282  0.12
C -0.45604 0.35547 0.35948  0.01
H 0.15978 -1.96136 0.85086  0.31
C -1.70194 -0.61571 0.70515  -0.61


#ii
Density functional theory data (ωB97M-V/def2-TZVPD) for the ion C5H10N with charge +1.

Results
net charge = +1
HOMO-LUMO gap = 9.87 eV
molecular weight = 84.14 g mol⁻¹
spin multiplicity = 1
LUMO level = -3.48 eV

Last column: Mulliken charge in e.
Positions of all 16 atoms, in Å:
H -1.61445 -1.47280 0.75053  0.43
C -1.00004 -0.65237 0.55739  -0.41
C 0.81669 1.06775 -0.34908  -1.14
H 1.30380 1.46265 0.57052  0.36
H 2.34128 -1.26296 0.71411  0.31
N -0.60284 1.46241 -0.57333  -0.08
C 0.23072 -0.96055 0.33929  0.34
C 1.52207 -1.74129 0.22308  -1.02
H 1.38907 -2.80990 0.53695  0.34
H -0.63288 2.39083 -0.29220  0.32
H 1.74749 -1.75366 -0.89010  0.30
C -1.54547 0.62197 0.27195  -0.39
H -0.81619 1.36127 -1.62196  0.41
=====
Activity:
It remains to repeat the block earlier on from the first line to the one with "0.05150" word for word.
Here it is:
#i
Density functional theory data (ωB97M-V/def2-TZVPD) for a structure of composition C4H3N.

Results
HOMO-LUMO gap = 9.03 eV
molecular weight = 65.07 g mol⁻¹
spin multiplicity = 1
LUMO level = 0.33 eV

Last column: Mulliken charge in e.
Positions of all 8 atoms, in Å:
C -0.62901 -0.54066 -0.31787  -0.91
H -0.77519 -1.61142 -0.36397  0.37
C 1.67945 0.34531 0.42306  -0.37
N -2.59425 1.09448 -0.62141  -0.42
C 0.62307 -0.05199 -0.14981  0.24
C -1.71362 0.35256 -0.47357  0.43
H 0.68846 -0.27922 1.10392  0.31
H 2.72108 0.69093 0.39966  0.35


#ii
Density functional theory data (ωB97M-V/def2-TZVPD) for an isolated molecule of C4H3N.

Results
HOMO-LUMO gap = 9.36 eV
molecular weight = 65.07 g mol⁻¹
spin multiplicity = 1
LUMO level = -1.42 eV

Last column: Mulliken charge in e.
Positions of all 8 atoms, in Å:
C -0.71601 -1.19536 0.76803  0.13
C 1.43840 -1.20718 0.09407  -0.26
H -0.65298 0.90703 -1.19580  0.29
H 1.07217 1.24688 -0.95267  0.33
C 0.34115 -0.47717 0.11015  0.55
H -0.09145 1.61515 0.33678  0.28
N -1.54799 -1.80046 1.30115  -0.34
C 0.15671 0.91111 -0.46170  -0.98


Verdict on stability: #i comes out at the bottom.


#i
Density functional theory data (ωB97M-V/def2-TZVPD) for a cluster of 2 separate species, C4H3N in total.

Results
HOMO-LUMO gap (spin up / spin down) = 7.67 / 8.23 eV
molecular weight = 65.07 g mol⁻¹
spin multiplicity = 1
LUMO level (spin up / spin down) = -2.53 / -2.41 eV

Last column: Mulliken charge in e.
Positions of all 8 atoms, in Å:
C 0.13471 0.13249 0.08797  -0.05
H -0.52577 -2.12071 0.32696  0.24
H -1.13086 0.20727 2.05465  0.33
H -1.34604 -1.24401 -1.03802  0.24
C -0.73152 -1.15489 -0.13837  -0.43
C 1.86561 1.63454 -0.94870  0.00
C -0.69503 0.02998 1.02889  -0.05
N 2.42891 2.51533 -1.37337  -0.29


#ii
Density functional theory data (ωB97M-V/def2-TZVPD) for an isolated molecule of C4H3N.

Results
HOMO-LUMO gap = 9.58 eV
molecular weight = 65.07 g mol⁻¹
structure (SMILES) = C=C=CC#N
spin multiplicity = 1
LUMO level = -0.32 eV

Last column: Mulliken charge in e.
Positions of all 8 atoms, in Å:
C 0.49051 -0.07892 0.14182  0.14
N -3.11149 0.46310 0.03839  -0.36
C 1.74882 0.53688 0.00650  -0.56
C -0.86957 -0.71239 0.05150  -0.53